INDONESIA’S significant rise in the Travel & Tourism Development Index (TTDI) ranking has become a catalyst for the country’s future growth, with the tourism and creative economy sectors poised for expansion.

According to the Tourism Ministry’s Senior Expert Staff, Nia Niscaya, in “The Weekly Brief with Sandi Uno” at the Sapta Pesona Building, Central Jakarta, Monday (7/01) 2024, said the ministry’s recent study on the impact of an increased TTDI ranking. The study yielded several recommendations that could serve as the foundation for developing Indonesia’s tourism and creative economy in the future.

“TTDI is one of the primary performance indicators for the Ministry of Tourism and Creative Economy, in addition to the number of foreign and domestic tourists, the value added and export value of the creative economy, the number of workers, and foreign exchange. This assessment allows for easy comparison with 119 other countries because it uses the same indicators,” said Nia.

Nia stated that, according to the TTDI assessment pillars and indicators, there are several areas in Indonesia that require improvement, namely health and hygiene, tourist service and infrastructure, ICT readiness, openness to T&T, and human resources and labor market and environmental sustainability.

“While not all of these areas fall under the direct purview of the Ministry of Tourism and Creative Economy, it is imperative that we collectively address these challenges. Therefore, it is essential to foster strong collaboration between relevant parties to ensure the continued assessment of the pillars and to prioritize the improvement of those that require it. The importance of coordination and collaboration between the ministries/institutions and Pentahelix,” she emphasized.

Meanwhile Dessy Ruhati, Deputy for Strategic Policy at the Ministry of Tourism, echoed this thing emphasizing that improving and managing the TTDI assessment pillars is a shared responsibility between ministries and institutions. The Ministry of Tourism and Creative Economy is responsible for only 30% of the assessment pillars.

Between two parts of the page: crystal structures:
********
Computed powder diffraction line list of BaMnOF5 for Cu Kα X-rays, from a DFT-relaxed cell (PBE+U, Alexandria).
Kinematic intensities with the Lorentz-polarization factor, no thermal factor.

Main lines, most intense first (2θ = 5–70°):
21.47 deg, I = 100, hkl 1 1 -1; 27.35 deg, I = 94, hkl 1 2 0; 27.05 deg, I = 89, hkl 0 2 1; 19.23 deg, I = 75, hkl 0 1 1; 26.49 deg, I = 72, hkl 1 0 1; 18.47 deg, I = 62, hkl 1 0 -1; 47.47 deg, I = 45, hkl 2 2 1; 38.03 deg, I = 40, hkl 1 3 -1; 33.24 deg, I = 40, hkl 2 1 -1; 34.83 deg, I = 36, hkl 2 1 0

Structure:
```
BaMnOF5
1.0
5.777 0.000 0.000
0.000 8.156 0.000
-2.034 0.000 5.598
Ba Mn O F
2 2 2 10
direct
0.069 0.250 0.374
0.931 0.750 0.626
0.500 0.000 0.000
0.500 0.500 0.000
0.381 0.750 0.438
0.619 0.250 0.562
0.198 0.039 0.741
0.198 0.461 0.741
0.342 0.048 0.219
0.342 0.452 0.219
0.372 0.750 0.984
0.628 0.250 0.016
0.658 0.548 0.781
0.658 0.952 0.781
0.802 0.539 0.259
0.802 0.961 0.259
```

=====

# 1
This entry pairs a crystal structure of Y2Cr3O9 with its theoretical X-ray powder pattern. Radiation: Cu Kα, 1.54184 Å. Structure: a DFT-relaxed cell (PBE+U, Alexandria).

Largest 6 diffraction maxima, sorted by position, 2θ = 5–70°:
Position (°2θ)  d (Å)  I_rel  (hkl)
7.66  11.535  46  0 0 1
15.36  5.768  39  0 0 2
28.21  3.164  47  1 0 2
33.22  2.697  100  1 0 3
33.49  2.676  57  1 1 0
48.09  1.892  52  2 0 0

Atomic structure:
Cell lengths 3.7840, 3.7840, 11.5352 Å; angles 90.00, 90.00, 90.00 degrees
Space group P4/mmm (No. 123)
Unique sites:
Y  0.0000  0.0000  0.1901 x2
Cr  0.5000  0.5000  0.0000 x1
Cr  0.5000  0.5000  0.3470 x2
O  0.0000  0.5000  0.0000 x2
O  0.0000  0.5000  0.3137 x4
O  0.5000  0.5000  0.1676 x2
O  0.5000  0.5000  0.5000 x1

=====

# 2
This entry pairs a crystal structure of YCr2O4 with its theoretical X-ray powder pattern. Radiation: Cu Kα, 1.54184 Å. Structure: a DFT-relaxed cell (PBE+U, Alexandria).

Largest 6 diffraction maxima, sorted by position, 2θ = 5–70°:
Position (°2θ)  d (Å)  I_rel  (hkl)
28.21  3.163  30  1 1 2
30.97  2.888  38  1 0 3
35.92  2.500  100  2 1 1
48.12  1.891  27  1 0 5
53.42  1.715  18  1 3 2
58.35  1.581  35  2 2 4

Atomic structure:
Cell lengths 5.7733, 5.7733, 10.0064 Å; angles 90.00, 90.00, 90.00 degrees
Space group I4_1/a (No. 88, origin choice 2)
Unique sites:
Y  0.0000  0.2500  0.1250 x4
Cr  0.0000  0.0000  0.5000 x8
O  0.1411  0.0500  0.3197 x16

=====

# 3
This entry pairs a crystal structure of YCr2O with its theoretical X-ray powder pattern. Radiation: Cu Kα, 1.54184 Å. Structure: a DFT-relaxed cell (PBE+U, Alexandria).

Largest 6 diffraction maxima, sorted by position, 2θ = 5–70°:
Position (°2θ)  d (Å)  I_rel  (hkl)
28.25  3.159  80  2 2 0
33.26  2.694  100  3 1 1
34.78  2.579  30  2 2 2
50.01  1.824  30  4 2 2
53.27  1.720  33  5 1 1
58.43  1.580  36  4 4 0

Atomic structure:
Cell lengths 8.9353, 8.9353, 8.9353 Å; angles 90.00, 90.00, 90.00 degrees
Space group Fd-3m (No. 227, origin choice 2)
Unique sites:
Y  0.1250  0.1250  0.1250 x8
********

“We can certainly take corrective steps together through a cross-sectoral collaboration strategy. It is important to note that 30% of the indicators are the duties and functions of the Tourism Ministry, while the other 70% are related to the duties of other ministries and sectors. This strategic step is an effort for us in “strengthening the indicators on TTDI,” Dessy remarked.

Likewise, Myra P. Gunawan, founder of the Bandung Institute of Technology (ITB) Tourism Center, revealed that Indonesia’s ranking in the TTDI could serve as a basis for developing and strengthening supporting infrastructure in the Indonesian tourism and creative sector. This ranking represents a significant opportunity for driving such development,” Myra noted.

At the same event, Professor M. Baiquni of Gajah Mada University (UGM) emphasized the importance of a balanced approach to the development of the tourism and creative economy sector across Indonesia. To achieve a more balanced distribution of tourist visits across the country, rather than concentrating them in a few select destinations.

“We are beginning to observe overtourism in several destinations in tourist-dense areas, including Bali, Yogyakarta, Bandung, Jakarta, and Surabaya. Sometimes extraordinary traffic jams occur, and this is a problem that we need to continue to look for solutions to manage,” concluded Baiquni. []